This second edition of Cancer Explained updates the original version written ten years ago. It explains the present understanding, features, investigations, treatments and likely outcomes in cancer treatment today and describes significant advances both in current practice and practices under study. For anything but the most simple and uncomplicated cancers, cancer doctors now need to work in multidisciplinary teams often specialising in only one or two tumour types. This allows them to develop and maintain the sophisticated skills needed for today’s therapies as well as future roles in cancer care.
The authors wish to acknowledge the inspiration given to them by the dedicated work of many colleagues and friends in the medical and nursing professions as well as the research, secretarial and administrative fields, both in Australia and overseas. Many of these people have been the unsung contributors to current success stories in the care of people with cancer. Such exciting advances include the change in outlook for patients with melanoma: in our student days it was a disease with about a 50% mortality rate. Now this is less than 10% in Australian clinics.
Similarly the outlooks for acute leukaemia in children, acute myeloid leukaemia in adults, advanced testicular cancer in young men, chorionic carcinoma in women of child-bearing age, Hodgkin (also known as Hodgkin’s) and other lymphomas in young adults have all changed. From being considered virtually incurable, these have become almost always curable cancers.
Most once-standard mutilating surgical procedures, such as amputation of a limb, total removal of a breast or radical surgery to the head and neck, can now be avoided by multi-modality management in combined specialist clinics, with at least equally satisfactory curative results. This reflects the integration of minimalist surgery with radiotherapy and chemotherapy.
Anti-smoking campaigns and other public-health measures have resulted in reduced numbers of people dying from smoking-and asbestos-related cancers.
Early detection measures have resulted in reduced numbers dying from advanced breast cancer, cervical cancer, bowel cancer, prostate cancer and stomach cancer.
Preventive measures are now well established for many cancers, and this information is readily available to individuals, families and their communities. Cancer of the cervix in women will shortly be a largely preventable disease, thanks to the work of 2005 Australian of the Year Professor Ian Frazer in developing preventive vaccines.
-- Attached: records of crystals --
/*
1.
# NaTl4Cd2
Theoretical powder X-ray diffraction pattern, Cu Kα (λ = 1.5418 Å). Input: the PBE geometry in Alexandria.

Peak list (8 most intense, 10 to 90 degrees two-theta, by angle)
29.95°, I = 62; 30.43°, I = 100; 31.46°, I = 61; 32.37°, I = 37; 33.67°, I = 35; 34.06°, I = 36; 35.86°, I = 38; 36.15°, I = 43

a b c (Å): 7.353 7.782 8.660
angles (deg): 102.27 113.84 106.28
Element x y z (fractional)
Na 0.000 0.000 0.000
Na 0.335 0.853 0.670
Tl 0.041 0.560 0.803
Tl 0.237 0.706 0.248
Tl 0.390 0.217 0.460
Tl 0.449 0.408 0.162
Tl 0.518 0.982 0.113
Tl 0.743 0.299 0.942
Tl 0.886 0.830 0.336
Tl 0.973 0.377 0.391
Cd 0.211 0.219 0.741
Cd 0.570 0.620 0.887
Cd 0.660 0.668 0.583
Cd 0.740 0.065 0.580


2.
# Na7Tl12Cd
Theoretical powder X-ray diffraction pattern, Cu Kα (λ = 1.5418 Å). Input: the PBE geometry in Alexandria.

Peak list (8 most intense, 10 to 90 degrees two-theta, by angle)
16.92°, I = 34; 27.44°, I = 66; 30.18°, I = 100; 33.03°, I = 90; 35.08°, I = 54; 37.32°, I = 58; 52.38°, I = 38; 54.02°, I = 32

a b c (Å): 8.900 8.900 8.900
angles (deg): 107.44 107.44 107.44
Element x y z (fractional)
Na 0.000 0.000 0.000
Na 0.174 0.621 0.495
Na 0.379 0.505 0.826
Na 0.495 0.174 0.621
Na 0.505 0.826 0.379
Na 0.621 0.495 0.174
Na 0.826 0.379 0.505
Tl 0.107 0.821 0.270
Tl 0.119 0.211 0.437
Tl 0.179 0.730 0.893
Tl 0.211 0.437 0.119
Tl 0.270 0.107 0.821
Tl 0.437 0.119 0.211
Tl 0.563 0.881 0.789
Tl 0.730 0.893 0.179
Tl 0.789 0.563 0.881
Tl 0.821 0.270 0.107
Tl 0.881 0.789 0.563
Tl 0.893 0.179 0.730
Cd 0.500 0.500 0.500


3.
# Na2Tl7Cd
Theoretical powder X-ray diffraction pattern, Cu Kα (λ = 1.5418 Å). Input: the PBE geometry in Alexandria.

Peak list (8 most intense, 10 to 90 degrees two-theta, by angle)
15.13°, I = 96; 26.36°, I = 69; 30.53°, I = 100; 34.24°, I = 54; 43.72°, I = 76; 46.52°, I = 29; 51.78°, I = 33; 72.13°, I = 34

a b c (Å): 8.282 8.282 8.282
angles (deg): 60.00 60.00 60.00
Element x y z (fractional)
Na 0.250 0.250 0.250
Na 0.750 0.750 0.750
Tl 0.000 0.000 0.000
Tl 0.254 0.254 0.746
Tl 0.254 0.746 0.254
Tl 0.254 0.746 0.746
Tl 0.746 0.254 0.254
Tl 0.746 0.254 0.746
Tl 0.746 0.746 0.254
Cd 0.500 0.500 0.500
*/
-- Back to the article --
Integrated treatment centres, more effective anti-cancer drugs, targeted biologics, more effective radiotherapeutic procedures and remarkable improvements in plastic and reconstructive surgery have all improved the outlook for most individuals and the community at large.
Finally, for those not as yet able to be cured, improvements in palliative care are now more readily available to make their lives more worthwhile and more comfortable.